

Attached: molecular data:
=====
Version w
{
  "formula": "H28O14",
  "method": "wB97M-V/def2-TZVPD",
  "spin_multiplicity": 1,
  "lumo_ha": -0.011,
  "elements": ["H", "H", "O", "O", "H", "H", "H", "O", "O", "H", "O", "H", "H", "H", "O", "H", "H", "H", "H", "H", "H", "H", "O", "O", "O", "O", "O", "H", "H", "H", "O", "H", "O", "H", "H", "H", "O", "H", "H", "H", "H", "H"],
  "coordinates": [[3.267, 0.111, -2.746], [-2.993, 1.036, -0.069], [1.178, -0.597, 0.155], [-3.121, 1.901, 0.314], [-3.386, 3.724, -1.600], [-0.623, -0.760, -4.076], [1.924, 0.203, -2.073], [-2.605, 1.033, 3.714], [1.744, 3.588, 1.368], [1.110, -1.140, 0.955], [-0.987, -3.026, -2.340], [2.248, 1.305, 0.138], [-1.435, -1.395, -2.935], [-0.012, -1.124, 3.674], [0.407, 1.798, -2.834], [4.310, -1.950, 1.795], [1.749, -1.110, -0.475], [-2.491, 1.910, 1.034], [0.868, -4.096, 1.767], [-0.679, -3.931, -2.312], [-3.522, 2.592, -2.502], [-1.218, 0.141, 0.039], [1.389, -4.907, 1.939], [-0.706, -1.696, 3.317], [3.618, -1.887, 2.473], [-1.329, 0.216, 1.016], [2.402, -0.332, -2.725], [0.027, 2.714, -2.913], [1.347, 1.966, -3.001], [0.862, 3.600, 1.005], [-1.234, -0.544, -3.368], [2.430, 3.317, 0.760], [-3.682, 3.544, -2.516], [-3.321, 1.636, 3.498], [-2.077, 0.946, 2.913], [1.100, 1.289, -0.729], [2.011, 1.652, -0.782], [-1.901, -2.962, -2.061], [3.730, -2.284, 3.355], [2.293, -4.526, 1.950], [-1.476, -1.219, 3.728], [-1.218, -0.734, 1.151]]
}

=====

Version x
{
  "formula": "H28O14",
  "method": "wB97M-V/def2-TZVPD",
  "spin_multiplicity": 1,
  "lumo_ha": -0.015,
  "elements": ["H", "O", "H", "H", "H", "H", "H", "H", "O", "O", "H", "H", "O", "O", "H", "O", "H", "H", "H", "O", "H", "H", "H", "H", "H", "O", "O", "H", "O", "O", "H", "H", "H", "O", "H", "H", "O", "H", "H", "O", "H", "H"],
  "coordinates": [[0.107, -3.001, 0.571], [0.461, -0.617, 2.664], [-1.758, 2.206, -0.152], [0.427, -0.416, -2.171], [2.729, 2.719, -0.023], [-2.839, -0.350, -2.137], [2.488, 0.809, -1.350], [-1.907, -2.013, 1.710], [1.845, 2.354, 0.011], [-1.206, 2.417, -1.829], [3.769, 1.231, -2.201], [1.112, 3.067, -0.044], [-1.850, 2.632, 0.653], [-2.302, -0.123, -1.400], [-0.977, -2.504, -1.466], [0.802, -3.442, 0.068], [-0.314, 2.143, -2.085], [1.949, 2.636, 1.786], [-0.521, -0.234, 0.290], [-1.497, -3.157, -1.897], [2.752, 2.310, 3.012], [1.902, -0.174, 1.743], [-1.429, -0.162, -1.789], [-0.058, 0.219, 2.662], [0.638, 0.661, 0.083], [2.997, 0.679, -2.112], [0.099, -0.912, -2.929], [-3.444, -0.918, 1.693], [2.856, -0.279, 1.458], [-2.686, -0.403, 1.507], [1.490, -2.753, -0.134], [-2.663, -0.357, 0.524], [-1.814, -3.274, 2.382], [1.945, 2.670, 2.734], [-1.179, 3.307, 0.542], [-0.146, -1.349, 2.675], [0.238, -0.134, -0.283], [-1.785, 1.680, -2.078], [-2.317, -3.039, -1.438], [-1.330, -2.783, 1.739], [2.842, -0.809, 0.665], [0.586, -0.537, -3.647]]
}

=====

Question: of the structures shown, which is the most stable? Reply: version x.
=====

The two girls chomped on their food, sitting there in silence for a minute. Anna looked at Tegan, who was looking down at her half-gone milkshake. The girl said nothing. She looked like she was bound in some kind of emotional pain and Anna wanted to break that. It wasn't fair for people to deal with big bundles of pain alone, and Anna decided that she wanted to rain happiness upon people. Good-bye, sadness.

“Talk,” Anna commanded, picking up her shake. She took a sip as Tegan looked at her, confused.


“Talk to me,” she repeated with a smile. “It's so awkward right now. Break it.” She set her cup down and waited for words to pour out of her new friend's mouth, but none came. “Well?”

Tegan cleared her throat and swallowed her mouthful of food. Then, she raised one finger, lifted her chin, announced, “I like kitties,” and continued eating.

Anna couldn't help herself; she stated to giggle, staring at Tegan as if she was wearing a bowl of fruit on her head. “No! Like, a real conversation!”


“Why not?”

Without a word, Tegan leaned forward as she picked the cherry out of her milkshake, and then she pressed it against Anna's nose. “Did I mention I love reindeer? Cos I do.” She gave a smile to the annoyed blue-haired girl who was blushing, wiping her red-stained nose.

“That was mean.”

“I didn't think so.” Tegan laughed a bit, stuffing her face with fies and slurping her milkshake. “I think it's funny. It's almost Christmas time and I like reindeer!”

Anna thought about this as she cleaned off her nose. There really wasn't much to think about but who cared? Anna usually over-thought everything, because maybe there was a hidden meaning somewhere. “So... what's you favorite thing about Christmas?”

“What's up with all the questions?” Tegan raised her eyebrow. Questions weren't her thing. She would always yell at Sara when she would flood her with questions; she wasn't a fan of that.

Pushing blue hair out of her face, Anna studied the chewing girl in front of her. She felt a bit creepy but she couldn't help it. She'd been in America for a month, living in an apartment with he friend Kate and she barely knew anyone. Ever time she had the perfect opportunity meet someone new, she wound bite her tongue in fear that her English was bad. One time, she was so nervous that she stated speaking Swedish, which, in all fairness, was her first language. The only Americans she'd talked to since that were employees, Kate, and Tegan.

She was a huge Tegan and Sara fan, and she couldn't just pass up a chance to meet Tegan. When she saw her walking down the street in the rain, over and over again, in her head, she practiced all the English she knew. Simple words like 'cat', 'bananas'--which she leaned how to spell thanks to Gwen Stefani—and 'apples'. She was about to meet her idol, her celebrity crush, and she wasn't going to mess any of it up.

She didn't want to talk about how the music the made was flawless and how it brightened her day so much; she didn't want to seem like some weird fan that was going to kidnap her. She wanted to be herself and make Tegan like her.

Did amazing musicians usually like their fans? Or did they think that they were odd? Like they were too creepy, like peasants? And maybe the weren't good enough to be around a goddess like them.

Anna never felt like she wasn't good enough. That was just her thought about fans overall. The woman, the beautiful human being she sat across from, was a goddess to her; she was a humble earthling, blessed with her presence.

Anna took another sip of her milkshake and after she set it down, she looked at Tegan. “I just don't want you to think of me as a stupid fan.”

“How could I? You bought me food without asking for my autograph.” The musician smiled. “That's awesome.”

The rest of their brief and unhealthy meal was in silence. But soon the stood up and left without hesitation. Into the car the went, with buckled seat belts, and back to driving. “I still need to know where you live so I can drop you off,” Anna chuckled.

Tegan shook her head. “Later.”


“I'm not done hanging out with you.” Tegan smiled at her, realizing that she hadn't once worried about Sara while she was with her. Anna gave her something to think about.

Anna blushed, stopping in front of a stop sign. “Okay... So where too?”

“I dunno,” Tegan admitted, rolling her window down a bit, “but you can decide.”